(2010/03) March 2010 mtb

Thanks mommies on the vitamins info... but childlife can can onli be bought thru spree... anything that i can get on the racks in pharmacies too?

Wah,serious ahh..buying ipad for them... i am restricting c to only tv and occasionally laptop.... once in a blue moon use her yiyi's ipad and that's it... i see too many kids glues on technology than parents nowdays...scared....


I dun even hv time to play games... Hahaha... but buy ipad still must jailbreak the thing.

Actually my brother gave me his old touch. Must go find it...

Morning mommies,

Anyone know where can I get stroller toys which are secured by velcro tape and what brand? I ve gotten the combi steering wheel but it is secured by strap which I find it difficult to remove.

Carol, jmmabb, really?? You all interested is it? If so, i will ask my husband heh. He's gg San Francisco late May. Heh. Wah i didnt know iPad is sooo exp!!!! Hmmm. Heartpain leh like that.

BabeE, ya MT is right, actually alot of games leh. My boy is quite transfixed on the Sing Sing Along app. Can stare at the screen for quite long, like 20 mins. Heh. Eh must jailbreak ah?? For iPad?!

Xihui, my boy now exposed to tv and iphone. Laptop don't have because my husband refuses to let him touch his laptop. My boy will bang the keyboard with his fists and try to remove the screen lor. He's a destroyer so alot of things we don't allow him to touch. For tv, quite jialat because my husband is a tv addict. I don't mind him watching tv now but im worried he will get myopia...By the way, for the childlife colostrum, there are always overseas sprees for it. I usually only buy 1 at a time because of the expiry dates. When its half finished, then i order 1 more bottle again to standby. Quite alright. I pay around $21 per bottle.


thanks!!! wah really big difference in price in gnc vs spree wor... do u ve the links of which spree u join? can pm me?


thanks for the offer, have sponsor already so will politely decline [IMG=http://www.singaporemotherhood.com/forumboard/clipart/happy.gif]


PM-ed u

Carol, am not joking leh! If you really want i can ask my husband, he's ok. Now he's preparing his shopping list! Waaaay early now if you ask me.

xihui, i either order straight from iherb under Leng Leng or buy from mummy olwen [IMG=http://www.singaporemotherhood.com/forumboard/clipart/happy.gif]

Leng Leng




Nowadays, when i order Happy Belly stuff esp puffs and melts, i also get from the two above. iherb shipping is very reasonable and both Leng Leng and Olwen don't add on handling fees. Very nice mummies to buy from. You can try either one, see which mummy has collection points more convenient for you!

mommies, anyone know where I can get saline wash or saline drop? Heidi's got a running nose...grr...will this never end? but its getting better finally this morning. But I think I should get the saline drop just in case. Though our PD did prescribed a salt water nasal spray which she absolutely hate...wonder if I can ask them for alternative...hmmm


i share the same concern as u on what to let them eat during travel too... c will be going for her 1st trip in a couple of months' time.. so i thought cereal might be used to replace her usual porridge throughout the trip.. planning to get her try some baby food prior the trip too, if she takes it well, then will get some along.. then the rest, will just have to go there and see what's in our meal and she have little of share here & there lor..

## Here the piece breaks off for crystal structures
~~~
(1)
Simulated PXRD pattern of RbNaOs2Pd for Cu Kα, from a DFT-relaxed cell (GGA-PBE, Alexandria).
Peak positions follow from Bragg's law for the DFT cell and can differ from measured ones.

Top 12 peaks for 15 to 90 degrees two-theta, sorted by position:
2θ/deg  d_spacing  Rel. int.
18.31  4.844  22
30.12  2.967  100
37.12  2.422  44
40.21  2.243  33
48.51  1.877  41
53.49  1.713  28
55.87  1.646  11
60.41  1.532  10
62.62  1.483  39
75.06  1.265  11
79.06  1.211  13
86.85  1.121  22

Crystal structure
Unit cell a=4.8440 b=4.8440 c=5.9365 alpha=90.00 beta=90.00 gamma=90.00
Fractional coordinates of all 5 atoms:
Rb: 0.0000 0.0000 0.0000
Na: 0.5000 0.5000 0.0000
Os: 0.0000 0.5000 0.5000
Os: 0.5000 0.0000 0.5000
Pd: 0.0000 0.0000 0.5000



(2)
Simulated PXRD pattern of As8S9 for Cu Kα, from a DFT-relaxed cell (GGA-PBE, Alexandria).
Peak positions follow from Bragg's law for the DFT cell and can differ from measured ones.

Top 12 peaks for 15 to 90 degrees two-theta, sorted by position:
2θ/deg  d_spacing  Rel. int.
16.19  5.473  100
16.70  5.308  47
21.06  4.219  47
25.64  3.474  70
26.62  3.349  56
27.01  3.301  73
28.67  3.113  98
29.54  3.024  32
30.60  2.922  27
38.62  2.331  38
50.83  1.796  28
51.47  1.775  33

Crystal structure
Unit cell a=10.8097 b=10.3589 c=9.5398 alpha=90.00 beta=100.88 gamma=90.00
Fractional coordinates of all 34 atoms:
As: 0.0209 0.2342 0.4375
As: 0.0209 0.7658 0.9375
As: 0.1567 0.4152 0.3433
As: 0.1567 0.5848 0.8433
As: 0.3855 0.0344 0.6792
As: 0.3855 0.9656 0.1792
As: 0.4367 0.3102 0.9284
As: 0.4367 0.6898 0.4284
As: 0.5633 0.3102 0.5716
As: 0.5633 0.6898 0.0716
As: 0.6145 0.0344 0.8208
As: 0.6145 0.9656 0.3208
As: 0.8433 0.4152 0.1567
As: 0.8433 0.5848 0.6567
As: 0.9791 0.2342 0.0625
As: 0.9791 0.7658 0.5625
S: 0.0000 0.0978 0.2500
S: 0.0000 0.4477 0.7500
S: 0.0000 0.5523 0.2500
S: 0.0000 0.9022 0.7500
S: 0.1708 0.3252 0.1313
S: 0.1708 0.6748 0.6313
S: 0.2932 0.1638 0.8205
S: 0.2932 0.8362 0.3205
S: 0.4056 0.1662 0.4938
S: 0.4056 0.8338 0.9938
S: 0.5000 0.4250 0.7500
S: 0.5000 0.5750 0.2500
S: 0.5944 0.1662 0.0062
S: 0.5944 0.8338 0.5062
S: 0.7068 0.1638 0.6795
S: 0.7068 0.8362 0.1795
S: 0.8292 0.3252 0.3687
S: 0.8292 0.6748 0.8687



(3)
Simulated PXRD pattern of PaTaSi2Os for Cu Kα, from a DFT-relaxed cell (GGA-PBE, Alexandria).
Peak positions follow from Bragg's law for the DFT cell and can differ from measured ones.

Top 12 peaks for 15 to 90 degrees two-theta, sorted by position:
2θ/deg  d_spacing  Rel. int.
23.60  3.770  25
32.78  2.732  25
33.20  2.698  21
35.63  2.520  100
45.15  2.008  30
47.35  1.920  10
56.91  1.618  21
60.37  1.533  19
65.77  1.420  10
75.45  1.260  9
77.10  1.237  22
86.08  1.130  9

Crystal structure
Unit cell a=6.1586 b=6.1586 c=6.1586 alpha=141.94 beta=141.94 gamma=54.92
Fractional coordinates of all 5 atoms:
Pa: 0.0000 0.0000 0.0000
Ta: 0.2500 0.7500 0.5000
Si: 0.3930 0.3930 0.0000
Si: 0.6070 0.6070 0.0000
Os: 0.7500 0.2500 0.5000



(4)
~~~
## Back to the piece

Amnio to confirm.. Tks babes.

I ask for faster results will know by next wed on d test results.

Side track- MIL going to look after this 2nd one... A bit reluctant coa they are more go with d flow, hopefully dun spoil d kid else I would have a hard time to discipline.

Hi Mums!

I just came back from lunch at Marche and saw a group of mummies having gathering. They were sitting in the same long table as us. Only difference was all their kids are in high chair instead of prams and slings. How time flies! And how I miss those times...

Thank you, Chloe!

Congratulations WISH! one boy one gal~~~~ :D

babybear, where are you going? I be bringing Heidi to Penang in May. Think I will just give her chee cheong fun, porridge, kuei tiao and etc and pray that everything sits well with her tum-tum. Will bring milk and cereal too.

xihui, no problem! Wow...if i bring my boy for trip now also no problem. Whatever sai he also eat one. I had duck rice yesterday and he kept snatching my rice. I'm still too tired juggling him to go for trips. My bestie sent me a few links yesterday and i finally know i'm not the only one facing a difficult child. My boy gets me so down at times thou i love him very much.

skysilver, i just ordered some stuff from Leng Leng again last night hehe [IMG=http://www.singaporemotherhood.com/forumboard/clipart/happy.gif]

Wish0upon0star, congrats!!!! Were you aiming for a boy boy? Heh. Close shop after this one or cheong #3?? Wuhahahhaah, you haven't deliver #2 i already ask you want #3 or not :p Wish you a smooth and steady pregnancy hor...Since you have 1 after and another, it's bobian to enlist the help of relatives de. How to cope with 2 when they age gap is so close on your own? Mission impossible unless your #1 always sit one corner do her own things.

MT, how about you?? Any scans coming up?

serendipity, have a #2 then you can experience those sling and prams moments again! Hehe...how are you feeling now? Better?

carol, thanks for the update!

toray, nasal spray works faster but all kids hate it. Try it on yourself and you will know why! Hahaha! Any saline solution will do. Can use as many time as necessary.

Actually, we march mums can organise a iherb spree too! Then meet up for collection and playdate.

BW..#2, i must think very very hard! yeh, tcm saved me. i adore this sinseh in serangoon north. she never fails to help me bounce back and her meds are in very easy to take capsules.

Seren- is the doc d female Sinseh at Chong Poh??

BW- this one not planned, it's a surprise gift. But better now then later, no more energy Liao.

Torayme- u also jiayou!

Just finish test- wait so long!!

Wish - YES! Pauline Sinseh at Chong Poh. When I had flu during preg and during bf-ing, she was the one who cured me with just a few days med. And congrats on having a boy. Dylan was a surprise too, or rather accident. He never fails to surprise me daily. Haha. How's the little girl? We should org a swim session soon!

wish, i dun want liao. close shop le. hahaha...

thanks bw. Weather very worrisome for little ones lately. my friend's gal was warded for chest infection. really must avoid enclosed areas for the time being. Go park go zoo better bah...

serendipity, don't i know about the think very hard part! I'm still thinking. At the rate i'm going think 35 liao still ding dong here and there, heh. Iherb spree?? But it will take time and effort to organise a spree, not easy leh...heh. Anyone interested in pediped as well? *oops*

Wish, but how you going to cope with 2 ah? The fetching, feeding, bathing and all? And if 1 or both fall sick how you going to bring them see PD ah? I keep thinking about these i don't know how leh. I went on pill long time ago, i won't have surprise gift this time, hehe. Unless i have 4 pairs of hands....But yes, agree have kids younger better. Really need tons of energy to keep up! You have any MS? How to take care of #1 if have MS ah? Are you frequently carrying your #1?

toray, not easy when they fall sick, i totally understand...tomorrow im bringing my boy for tui na again. Every week will bring him already, hopefully in the long term, can see improvement in his overall health. He's quite prone to runny nose (due to sinus) and cough.


going to koala's home, in replacement of japan.. hope that she co-operates throughout the trip.


haha.. i haven't really expose mine to adult's food.. due to the sodium and sugar content... still giving her food as natural as possible... but she not ''stupid'' though.. 2 days back, i had 3 bowls on the table. 1 with her porridge with frog leg, 1 with tofu cubes, 1 with my smoked salmon salad. at 1st she wanted the tofu & didn't wanna take her porridge, then after a while, she pointed to the salmon & bo chap both her porridge and tofu.. feeding her now is a nightmare.it only started recently, dunno where she learn from..she stand/sit/stand/sit when i put her in the highchair..if she wana get out of the chair & escape fr the dining area, she will not get any food, i don't have the patience to chase all over the house ahh...


Same here. I just started pill 3 months ago. Scared. I got IHERB account so if want to consolidate to save on shipping I can do it. I need to get Dyl another pediped! He's outgrowing. Need Vpost or direct shipping?


I have to resort to youtube to get him to sit down! Those little rascals!

BW- u keen ah?? #1 will go Childcare. She will want me to carry at times. I still do, but less frequent.

I weekend mum so #2 will come back only on fri nites. Only thing to consider is how to bring BM to #2 at woodlands n come back to see #1 in d evening..


i can't exactly tell what c is interested in during meal-time.. varies all the time... but if she gets hooked with something that interests her, her mouth also stop,don't chew, don't swallow...

oh pediped, i was just browsing around ytd too.. i haven't got any for her yet and i intend to too! i duno how to buy shoes fr kiddy palace, either too heavy or not nice...

BW, my next detailed scan is on 2 June, on my birthday! guess knowing the gender will be a gift to me [IMG=http://www.singaporemotherhood.com/forumboard/clipart/happy.gif] not really wishing for either gender... if u really must ask me, i would prefer another girl.. hee. then the girls can have all their girltalk and be really close.

i'm still carrying belle alot. day in, day out, bathing her, feeding her and stuff.. really cant wait to see her reaction when she first meets her sibling [IMG=http://www.singaporemotherhood.com/forumboard/clipart/happy.gif]

yup, i havent exposed belle to any adult food too. think it may be too heavy-going for her. its still fish porridge, with carrot and veg bits for now.

xihui, i cook for my boy everyday but he still eats my husband's and my dinner..started when he turned 1. Out of a sudden, he started taking a keen interest in what WE are eating. Whatever we eat sure nicer than his own food, that's his logic! I don't have to chase (yet). I will just say Jude sit, mum mum. He will plonk himself down on the floor. I feed him dinner as we watch Leapfrog together on tv, heh. I think can slowly expose her to adult food else how to go out with her...My boy takes udon and salmon when we eat out at jap restuarants. Kiddy Palace shoes not nice...Buy from Bata. Bubble Gummers are nice and cute but they don't cater to larger sizes.

serendipity, how you show youtube to him? Iphone or laptop? I've tried but cannot because my boy will start banging the laptop or playing with the iphone, he won't just guai guai stare at the screen de. I'm on the pill for 13 months liao, heh. Actually, ask me to try now i also don't know i'm up to it or not. Can't open my eyes for a long time already, wuhahahahah. Oh you have iherb account! But it will take time to organise a spree. I've not bought pediped before! Am only considering this brand as i cannot find any nice ones already that are also soft enough for my boy. Don't wish to buy from mummy rach as well as her shipping is quite high.

Wish, i'm considering...is that considered keen? Part of the reason is because my husband's retirement age is lower than most people so he wants #2 as early as possible. But i am so tired...My boy is koala bear. So i feel its better to wait till he is 4 or 5. But by then, i want to concentrate on preparing him for Pri 1 already so i don't know how.


Dylan behaves same as Jude when we take dinner. He will want to hold my spoon and feed me, then take another spoonful for himself. The other day my mum pan fry pomfret fish. She mix it with rice into small rice balls and my boy had 6 of it. He drinks tablespoons of soup daily which means no salt can be added cos soup for him and bak kut for the dogs. I connect external keyboard to laptop. He does bang but he has figured out certain buttons get him somewhere. In fact he can now scroll up and down a page using the mouse. Let them explore lor.

Mums who are keen in iherb spree can state name here then i'll take it up in FB.

serendipity, your boy is luckier, i'm not too sure about the infantcare centre's food :p I cook dinner as often as i can but there are days when i wake up late in the mornings, not in time to cook so after work, i buy porridge then go back home to put down all my stuff first before going to the centre to fetch him. He takes and throw. I can't see how throwing the laptop is considered as exploring, really headache. If he manages to scoop stuff on his spoon, he will throw the spoon backwards then go step on the food or spread them with his hands. Takes ages for me to clean the place and him. Tired tired tired. There was once it got to a point of me dreading to go home after work because i got to face my boy's stunts again. Now i feel better already....

it's not that i want to restrict her to adult food, but she eats like tweety bird, litte bit little bit...so i gotta make sure that she gets good nutrients from that little bit of food during mealtime.. her dad kept asking her: when can mommy let u eat bwa kwa ahh?

BW, HCF always the best. He don't know how lucky he is. His porridge is cooked using japanese rice and fresh unpolished rice! Always using bak kut broth. It's delicious. And my mum whips up pasta, mash potato, pancakes and other variations when she can. They are kids afterall. Hand need something to meddle with. For my boy, when mouse and keyboard fails, I resort to other things like calculator, pen, etc. He will even doddle on paper using a pen! I know I'm spoiling him but so long I get peace and cleanliness during his mealtime, so be it. You very yong xing liang ku. I know! JIA YOU!

Hi wish,

Congrats!! Hope you will have a smooth delivery! Dun worry! Everything willbe smooth de.. So happy to see so many march mummy having the second one.

